Input:
<<<
(1)
Here is a relaxed structure of TbErTmAl from the Alexandria database. Energies are from PBE-GGA.

The structure belongs to space group F-43m (No. 216); the cell edges are 7.510, 7.510 and 7.510 Å and the angles 90.00°, 90.00° and 90.00°. The inequivalent atoms are Tb at (0.000, 0.000, 0.000), Er at (0.000, 0.000, 0.500), Tm at (0.250, 0.250, 0.750) and Al at (0.250, 0.250, 0.250).

As for the total energy: -4.4191 eV per atom. The magnetic moment comes out at 0.0029 μB per atom. The calculation puts the excess energy over the best structure of this formula in the dataset at 125.1 meV/atom. The formation energy is -0.269 eV/f.u.

(2)
Here is a relaxed structure of TbErAlZn from the Alexandria database. Energies are from PBE-GGA.

The structure belongs to space group P4mm (No. 99); the cell edges are 3.560, 3.560 and 7.226 Å and the angles 90.00°, 90.00° and 90.00°. The inequivalent atoms are Tb at (0.000, 0.000, 0.000), Er at (0.000, 0.000, 0.510), Al at (0.500, 0.500, 0.259) and Zn at (0.500, 0.500, 0.746).

As for the total energy: -3.9337 eV per atom. The magnetic moment comes out at 0.0000 μB per atom. The calculation puts the excess energy over the best structure of this formula in the dataset at 0.0 meV/atom. The formation energy is -1.525 eV/f.u.

(3)
Here is a relaxed structure of TbErAlZn from the Alexandria database. Energies are from PBE-GGA.

The structure belongs to space group F-43m (No. 216); the cell edges are 7.167, 7.167 and 7.167 Å and the angles 90.00°, 90.00° and 90.00°. The inequivalent atoms are Tb at (0.000, 0.000, 0.000), Er at (0.000, 0.000, 0.500), Al at (0.250, 0.250, 0.750) and Zn at (0.250, 0.250, 0.250).

As for the total energy: -3.9268 eV per atom. The magnetic moment comes out at 0.0001 μB per atom. The calculation puts the excess energy over the best structure of this formula in the dataset at 6.9 meV/atom. The formation energy is -1.497 eV/f.u.

(4)
Here is a relaxed structure of TbErZrAl from the Alexandria database. Energies are from PBE-GGA.

The structure belongs to space group F-43m (No. 216); the cell edges are 7.292, 7.292 and 7.292 Å and the angles 90.00°, 90.00° and 90.00°. The inequivalent atoms are Tb at (0.000, 0.000, 0.000), Er at (0.250, 0.250, 0.250), Zr at (0.250, 0.250, 0.750) and Al at (0.000, 0.000, 0.500).

As for the total energy: -5.3623 eV per atom. The magnetic moment comes out at 0.0031 μB per atom. The formation energy is 0.034 eV/f.u.

(5)
Here is a relaxed structure of ErAlTc from the Alexandria database. Energies are from PBE-GGA.

The structure belongs to space group P4_12_12 (No. 92); the cell edges are 5.706, 5.706 and 8.650 Å and the angles 90.00°, 90.00° and 90.00°. The inequivalent atoms are Er at (0.226, 0.226, 0.000), Al at (0.139, 0.139, 0.500) and Tc at (0.064, 0.936, 0.750).

As for the total energy: -5.8820 eV per atom. The magnetic moment comes out at 0.0001 μB per atom. The calculation puts the excess energy over the best structure of this formula in the dataset at 798.6 meV/atom. The formation energy is 1.025 eV/f.u.

(6)
Here is a relaxed structure of Er2AlTc from the Alexandria database. Energies are from PBE-GGA.

The structure belongs to space group R-3m (No. 166, hexagonal axes); the cell edges are 3.3981, 3.3981 and 27.1352 Å and the angles 90.00°, 90.00° and 120.00°. The inequivalent atoms are Er at (0.0000, 0.0000, 0.2416), Al at (0.0000, 0.0000, 0.0000) and Tc at (0.0000, 0.0000, 0.5000).

As for the total energy: -5.7650 eV per atom. The magnetic moment comes out at 0.0000 μB per atom. The formation energy is 0.174 eV/f.u.

(7)
Here is a relaxed structure of ErAlTc from the Alexandria database. Energies are from PBE-GGA.

The structure belongs to space group Imma (No. 74); the cell edges are 5.361, 5.540 and 7.534 Å and the angles 90.00°, 90.00° and 90.00°. The inequivalent atoms are Er at (0.000, 0.250, 0.116), Al at (0.000, 0.000, 0.500) and Tc at (0.250, 0.250, 0.750).
>>>

To do:
It remains to return the material above from the line with "(3)" to the end without additions.

Solution:
(3)
Here is a relaxed structure of TbErAlZn from the Alexandria database. Energies are from PBE-GGA.

The structure belongs to space group F-43m (No. 216); the cell edges are 7.167, 7.167 and 7.167 Å and the angles 90.00°, 90.00° and 90.00°. The inequivalent atoms are Tb at (0.000, 0.000, 0.000), Er at (0.000, 0.000, 0.500), Al at (0.250, 0.250, 0.750) and Zn at (0.250, 0.250, 0.250).

As for the total energy: -3.9268 eV per atom. The magnetic moment comes out at 0.0001 μB per atom. The calculation puts the excess energy over the best structure of this formula in the dataset at 6.9 meV/atom. The formation energy is -1.497 eV/f.u.

(4)
Here is a relaxed structure of TbErZrAl from the Alexandria database. Energies are from PBE-GGA.

The structure belongs to space group F-43m (No. 216); the cell edges are 7.292, 7.292 and 7.292 Å and the angles 90.00°, 90.00° and 90.00°. The inequivalent atoms are Tb at (0.000, 0.000, 0.000), Er at (0.250, 0.250, 0.250), Zr at (0.250, 0.250, 0.750) and Al at (0.000, 0.000, 0.500).

As for the total energy: -5.3623 eV per atom. The magnetic moment comes out at 0.0031 μB per atom. The formation energy is 0.034 eV/f.u.

(5)
Here is a relaxed structure of ErAlTc from the Alexandria database. Energies are from PBE-GGA.

The structure belongs to space group P4_12_12 (No. 92); the cell edges are 5.706, 5.706 and 8.650 Å and the angles 90.00°, 90.00° and 90.00°. The inequivalent atoms are Er at (0.226, 0.226, 0.000), Al at (0.139, 0.139, 0.500) and Tc at (0.064, 0.936, 0.750).

As for the total energy: -5.8820 eV per atom. The magnetic moment comes out at 0.0001 μB per atom. The calculation puts the excess energy over the best structure of this formula in the dataset at 798.6 meV/atom. The formation energy is 1.025 eV/f.u.

(6)
Here is a relaxed structure of Er2AlTc from the Alexandria database. Energies are from PBE-GGA.

The structure belongs to space group R-3m (No. 166, hexagonal axes); the cell edges are 3.3981, 3.3981 and 27.1352 Å and the angles 90.00°, 90.00° and 120.00°. The inequivalent atoms are Er at (0.0000, 0.0000, 0.2416), Al at (0.0000, 0.0000, 0.0000) and Tc at (0.0000, 0.0000, 0.5000).

As for the total energy: -5.7650 eV per atom. The magnetic moment comes out at 0.0000 μB per atom. The formation energy is 0.174 eV/f.u.

(7)
Here is a relaxed structure of ErAlTc from the Alexandria database. Energies are from PBE-GGA.

The structure belongs to space group Imma (No. 74); the cell edges are 5.361, 5.540 and 7.534 Å and the angles 90.00°, 90.00° and 90.00°. The inequivalent atoms are Er at (0.000, 0.250, 0.116), Al at (0.000, 0.000, 0.500) and Tc at (0.250, 0.250, 0.750).